За 10 лет существования (мы открылись в 2012 году) фонд «Красный зонт» выдал 279 грантов 180 организациям в 68 странах. Каждый год мы публикуем на вебсайте список грантополучателей, включая в него те организации, которые об этом попросили. Если организация пожелала остаться анонимной, сведения о ней и стране, где она работает, огласке не предаются. Если вы хотели бы обратиться в любую организацию, которая получала у нас гранты, или обсудить ее работу, свяжитесь с нами.
В 2022 году КГП фонда «Красный зонт» раздал гранты на 1 300 000 евро, и это первый раз, когда мы раздали более миллиона евро за год. В результате, общая сумма средств, которую мы пожертвовали самоорганизациям секс-работников за все время своей работы, составила 7 886 500.
Созданная в 2015 году, организация «Женщины против всех форм дискриминации» — это национальная организация, членами которой являются физические лица. У нее есть отделения во всех десяти провинциях Зимбабве. На средства этого и других грантов организация продолжит искать подход к заинтересованным субъектам в стране, раздавать прокладки и отмечать Международный женский день и памятные даты международного движения секс-работников.
«Махила Сахаойги Самуха» была создана в 2008 с целью откликнуться на запросы секс-работниц в восточной части Непала. На данный момент организация насчитывает свыше 500 членов, занимается развитием знаний секс-работников о правах человека и стремится положить конец стигме и насилию при помощи защиты интересов, создания альянсов и мобилизации сообщества.
This national sex workers’ collective works to improve sex workers’ access to HIV and increase recognition of their human rights, including the right to fair working conditions, and freedom from violence and police harassment. $TK represents sex workers of all genders in government decision-making spaces and civil society, particularly with regard to HIV.
# Materials data, kept here for reference
┌──
This entry pairs a crystal structure of SnH14C4N2Cl4 with its simulated X-ray powder pattern. Radiation: λ = 1.5418 Å (Cu Kα). Structure: a DFT-relaxed cell (PBE, the Materials Project).
Peak positions follow from Bragg's law for the DFT cell and can differ from measured ones.

Atomic structure:
```
50
Lattice="6.6899 0.0000 0.0000 0.0000 8.5844 0.0000 -4.8217 0.0000 12.1092" Properties=species:S:1:pos:R:3 pbc="T T T"
Sn 0.0000 0.0000 0.0000
Sn -2.4108 4.2922 6.0546
H -1.9438 1.0158 7.0918
H 0.4671 3.2764 1.0372
H -1.2124 1.2589 5.4751
H -3.6232 3.0333 11.5297
H 1.0557 1.6707 2.8637
H -1.3552 2.6215 8.9183
H 2.3727 1.1543 0.2782
H -0.0381 3.1379 6.3329
H -0.1764 0.8097 6.8679
H 2.2344 3.4825 0.8133
H 1.4822 6.2048 3.5663
H -0.9286 6.6718 9.6209
H 2.0933 0.2674 2.4692
H -0.3176 4.0248 8.5238
H 2.1858 4.5596 3.5855
H -0.2250 8.3170 9.6401
H 2.7969 1.9126 2.4884
H 0.3860 2.3796 8.5430
H -0.3662 5.1019 11.2959
H 2.0447 7.7747 5.2413
H 1.9064 5.4465 5.7764
H -0.5044 7.4301 11.8310
H 3.2234 5.9629 3.1910
H 0.8126 6.9137 9.2456
H 5.4915 5.5511 0.5795
H 3.0807 7.3255 6.6342
H 1.4012 5.3080 11.0720
H 3.8120 7.5686 5.0174
C -1.0603 1.3814 6.5534
C 1.3506 2.9108 0.4988
C 1.8973 1.3204 2.2580
C -0.5136 2.9718 8.3126
C 2.3818 5.6126 3.7966
C -0.0290 7.2640 9.8512
C 0.5177 5.6736 11.6104
C 2.9285 7.2030 5.5558
N 1.5642 1.4843 0.8233
N -0.8467 2.8079 6.8779
N 2.7149 5.7765 5.2313
N 0.3041 7.1001 11.2859
Cl -3.9284 0.5325 9.9024
Cl -1.5176 3.7597 3.8478
Cl -0.6684 6.0232 6.3355
Cl 1.7425 6.8534 0.2808
Cl 0.1258 1.7310 11.8284
Cl 2.5366 2.5612 5.7738
Cl 3.3858 4.8247 8.2615
Cl 5.7967 8.0519 2.2068
```

Peak list (12 most intense, 10° ≤ 2θ ≤ 80°, most intense first)
2θ (°)  Rel. int.  h k l
12.64  100  0 1 1
16.93  36  1 1 -1
14.63  34  0 0 2
14.25  27  1 0 0
25.22  25  1 2 0
16.22  21  1 0 -2
35.67  16  2 2 0
21.04  15  1 1 1
34.20  14  2 2 -2
41.65  13  1 0 -6
29.51  12  0 0 4
38.62  10  0 1 5
└──
Action Humanitaire pour la Sante et le Developpement (AHUSADEC)
Republic of the Congo
Бюкаву филиал Ahusadec-это группа, возглавляемая секс-работником, которая работает в провинции Киву. Он предоставляет безопасное место для секс -работников, где он предлагает медицинскую информацию и документирует случаи насилия, которые он приносит полиции и суду. Благодаря радиопостановлениям группа стремится продвигать свою работу и рассказать общественности о правах человека.
This organisation aims to increase social acceptance for men and transwomen sex workers and to secure their fundamental rights as citizens of India. Adarsha works primarily at the local level and contributes to national and international advocacy efforts. The group supports sex workers to access health and general social services through peer outreach work and referrals and builds sex workers’ leadership skills.
This community-led organisation of male and trans* sex workers supports sex workers to access health services, social housing schemes, an identity card and other social services. The group mobilizes sex workers and allies to improve laws, policies and practices around sex work, homosexuality, and gender identity.
Established less than three years ago in 2009, this organization advocates for the rights of sex workers who are men and trans, working to reduce stigma and building alliances with human rights organisations. Adarsha supports sex workers to access health care and other social services.
This organisation works to increase social acceptance for men and transwomen sex workers in India, and to secure their fundamental rights as citizens. Adarsha is active at the local level in Mysore and other districts in the state of Karnataka, and contributes to national advocacy efforts. The group supports sex workers to access health and general social services through peer outreach work and referrals, and builds sex workers’ leadership skills. Adarsha mobilises sex workers and allies to improve laws, policies and practices around sex work, homosexuality and gender identity.
Advocacy Normalizing Sex Work through Education and Resources (ANSWERS)
ANSWERS envisions a community of sex workers that is fully integrated, accepted, and safe so that they can enjoy equal opportunities within Canadian society. To achieve their mission, ANSWERS supports sex workers and their rights through outreach, education, and support services while working to end violence and stigma towards sex workers.
This sex worker-led African regional network was created in 2009 and is based in Nairobi, Kenya. The Africa Sex Worker Alliance (ASWA) has sex worker-led organisations as members in 35 African countries. The network amplifies the voices of their sex worker members and advocates for the health and human rights of the diverse community of sex workers working and living in Africa. ASWA intends to use its grant to continue its advocacy in the region and continue to strengthen itself as a network.
Created in 2009, this regional network based in Kenya unites 100 sex worker groups from 33 countries in Africa and aims to expand its membership to include all countries of the continent. ASWA provides strategic advice, networking opportunities, capacity-building tools and financial support to local groups that work to improve sex workers’ access to health services and labour rights. Its membership includes sex workers of all genders. ASWA represents the interests of sex workers in regional and international debates and platforms.
This regional network unites sex worker groups from 11 countries and seeks to expand its membership to include all countries on the African continent. It provides strategic advice, networking opportunities, capacity-building tools and financial support to local sex workers’ groups that work to improve their access to health services and labour rights. Its membership includes groups working with women, men and trans sex workers. ASWA represents sex workers’ interest in regional and international processes and platforms.
This sex worker-led African regional network was created in 2009 and is based in Nairobi, Kenya. The Africa Sex Worker Alliance (ASWA) has more than 70 sex worker-led organisations as members in 33 African countries. The network amplifies the voices of their sex worker members and advocates for the health and human rights of the diverse community of sex workers working and living in Africa. ASWA intends to use its grant to create a capacity scan to be used in modelling future trainings for sex worker-led organisations in 5 African countries.
Created in 2009, this regional network unites 75 sex worker groups from 28 countries and aims to expand its membership to include all countries in Africa. It provides strategic advice, networking opportunities, capacity-building tools and financial support to local groups that work to improve sex workers’ access to health services and labour rights. Its membership includes sex workers of all genders. ASWA represents sex workers’ interest in regional and international processes and platforms.
This association of sex workers mainly operates in Douala, Cameroon’s main industrial and harbor city. The group provides health and HIV information and services to sex workers of all genders. Aids Acodev reaches out to potential allies and the media to bring attention to the stigma, discrimination, and rights violations that sex workers face.
This group provides health and HIV services to sex workers of all genders. Alcondoms organises workshops for law enforcement, health care providers and others to promote respect for sex workers’ rights, and to address stigma and violence. The Red Umbrella Fund grant will enable the group to develop advocacy material such as a documentary about the experiences of sex workers in Cameroon.
Alcondoms was established in 2012 in response to the harmful legal and policy environment for sex workers in Cameroon. This sex worker-led group promotes the human and labour rights of sex workers and works to increase sex workers’ access to HIV/AIDS prevention and treatment, STI and tuberculosis screening, and counselling services. Alcondoms is located in the outskirts of Douala and directly serves the high concentration of sex workers in the area, which are often not reached by other local and national service providers.
Founded in 2017, this self-led group in Mexico City unites diverse women sex workers, including trans women and women working on the streets, in their fight against stigma and discrimination and for the recognition of sex work as work. With this grant, AMETS is organising workshops for sex workers on human rights, public health from a political perspective, access to justice and safety, and leadership. The groups distributes condoms and conducts peer outreach to promote HIV prevention and sexual and reproductive health and rights among sex workers.
Alianza por el trabajo sexual defines its role in El Salvador as «working actively in the action for the defense of the rights of women sex workers, through the unification of the sector.» With this first grant from Red Umbrella Fund, the organisation aims to organise a variety of events, trainings, meetings and campaigns in line with this work. In the country, sex work is technically legal but municipal authorities create administrative offences making sex work more isolated and dangerous.
AMMAR Asociación de Mujeres Meretrices de la República Argentina
AMMAR’s mission is to defend the human, social and labour rights of sex workers in Argentina. With a national reach of around 10,000 sex workers, the organisation is present in 14 provinces of the country through 18 branches in different locations all of which are run by sex workers. With this third grant from Red Umbrella Fund, the organisation aims to provide food, medication, legal services and to implement workshops and visibility activities during the women’s march and cover some of its core costs.
AMMAR Córdoba (Associación de Mujeres Meretrices de Argentina delegación Córdoba)
Local, Subnational
This provincial level network of female and transgender sex workers combines community services tailored to the needs of sex workers (like a nursery, literacy courses, litigation) with political activism. They are a driving force behind a nation-wide campaign for the regulation of sex work in Argentina. Their sex worker friendly clinic provides comprehensive health services including condom distribution and HIV testing.
Materials data from another source follow:
=====
Entry 1:
# CaLaMn2O6
Computed powder diffraction line list, Cu Kα (weighted mean of Kα1 and Kα2). Input: DFT lattice parameters and positions (GGA+U).
Kinematic intensities with the Lorentz-polarization factor, no thermal factor.

Cell: 5.359 5.397 9.653 Å, 90.00 123.40 90.00°
Fractional positions:
Ca 0.000 0.212 0.000
Ca 0.000 0.788 0.500
La 0.483 0.279 0.499
La 0.483 0.721 0.999
Mn 0.241 0.250 0.750
Mn 0.241 0.750 0.250
Mn 0.740 0.250 0.249
Mn 0.740 0.750 0.749
O 0.060 0.037 0.284
O 0.060 0.963 0.784
O 0.412 0.459 0.210
O 0.412 0.541 0.710
O 0.493 0.036 0.714
O 0.493 0.964 0.214
O 0.575 0.261 0.012
O 0.575 0.739 0.512
O 0.914 0.235 0.487
O 0.914 0.765 0.987
O 0.991 0.462 0.791
O 0.991 0.538 0.291

Peak list (12 most intense, 10 to 80 degrees two-theta, most intense first)
two_theta, d_spacing, I/Imax, (hkl)
32.31, 2.771, 1000, 1 1 1
32.44, 2.760, 958, 1 1 -3
19.82, 4.481, 642, 1 0 0
47.84, 1.901, 609, 2 2 -2
33.20, 2.698, 446, 0 2 0
33.44, 2.679, 444, 2 0 -2
45.00, 2.015, 374, 0 0 4
57.05, 1.614, 315, 0 2 4
58.80, 1.570, 302, 1 3 1
40.25, 2.240, 226, 0 2 2
19.95, 4.451, 220, 1 0 -2
58.98, 1.566, 212, 3 1 -1

Entry 2:
# Rb2LiNd2W4O16
Computed powder diffraction line list, Cu Kα (weighted mean of Kα1 and Kα2). Input: DFT lattice parameters and positions (GGA+U).
Kinematic intensities with the Lorentz-polarization factor, no thermal factor.

Cell: 7.548 7.647 8.122 Å, 88.61 63.97 61.58°
Fractional positions:
Rb 0.000 0.000 0.000
Rb 0.495 0.416 0.594
Li 0.308 0.296 0.270
Nd 0.518 0.953 0.988
Nd 0.961 0.462 0.622
W 0.038 0.893 0.489
W 0.449 0.532 0.103
W 0.537 0.903 0.479
W 0.953 0.509 0.117
O 0.052 0.446 0.862
O 0.142 0.259 0.155
O 0.174 0.592 0.064
O 0.216 0.570 0.385
O 0.271 0.844 0.220
O 0.317 0.827 0.532
O 0.358 0.163 0.452
O 0.454 0.971 0.728
O 0.555 0.252 0.042
O 0.598 0.615 0.879
O 0.705 0.458 0.167
O 0.705 0.812 0.182
O 0.786 0.612 0.420
O 0.805 0.960 0.425
O 0.895 0.823 0.714
O 0.935 0.162 0.577

Peak list (12 most intense, 10 to 80 degrees two-theta, most intense first)
two_theta, d_spacing, I/Imax, (hkl)
28.72, 3.109, 1000, 2 2 0
27.27, 3.270, 544, 0 2 0
25.10, 3.548, 436, 0 0 2
30.83, 2.901, 354, 2 0 0
31.37, 2.851, 252, 0 1 2
16.14, 5.490, 229, 0 1 -1
25.61, 3.478, 219, 0 1 -2
32.62, 2.745, 217, 0 2 -2
50.04, 1.823, 192, 0 1 -4
27.15, 3.284, 186, 2 1 2
32.08, 2.790, 174, 2 2 2
13.54, 6.539, 173, 0 1 0

Entry 3:
# MgMoWO6
Computed powder diffraction line list, Cu Kα (weighted mean of Kα1 and Kα2). Input: DFT lattice parameters and positions (GGA+U).
Kinematic intensities with the Lorentz-polarization factor, no thermal factor.

Cell: 5.224 5.224 5.617 Å, 62.51 62.33 60.08°
Fractional positions:
Mg 0.000 0.000 0.000
Mo 0.793 0.792 0.625
W 0.296 0.295 0.116
O 0.056 0.670 0.865
O 0.146 0.567 0.327
O 0.409 0.054 0.865
O 0.566 0.966 0.328
O 0.673 0.408 0.863
O 0.965 0.145 0.332

Peak list (12 most intense, 10 to 80 degrees two-theta, most intense first)
two_theta, d_spacing, I/Imax, (hkl)
23.29, 3.819, 1000, 1 1 0
34.32, 2.613, 329, 1 2 1
=====
AMMAR Córdoba (Associación de Mujeres Meretrices de Argentina delegación Córdoba)
Led by women sex workers, this is a network in the province of Córdoba that combines community services for sex workers — like offering daycare, literacy courses, and health services — with political activism, such as advocating for the protection of sex workers’ labour rights and for the legal recognition of sex work as work.
AMMAR Córdoba (Associación de Mujeres Meretrices de Argentina delegación Córdoba)
[Crystal structures, kept here for reference]
Diffraction record for Al45V7. The powder X-ray diffraction pattern is simulated, not measured: it uses a cell relaxed with PBE and Cu Kα.
Intensities are scaled so that the largest is 100.

Structural model:
a b c (Å): 11.106 11.106 11.084
angles (deg): 105.92 105.92 40.03
Element x y z (fractional)
Al1 0.000 0.000 0.000
Al2 0.020 0.391 0.633
Al3 0.021 0.021 0.257
Al4 0.028 0.642 0.644
Al5 0.113 0.749 0.510
Al6 0.116 0.116 0.728
Al7 0.125 0.125 0.138
Al8 0.126 0.494 0.878
Al9 0.135 0.504 0.148
Al10 0.207 0.207 0.990
Al11 0.251 0.887 0.490
Al12 0.260 0.649 0.877
Al13 0.275 0.275 0.508
Al14 0.278 0.651 0.294
Al15 0.349 0.722 0.706
Al16 0.351 0.740 0.123
Al17 0.358 0.972 0.356
Al18 0.371 0.371 0.387
Al19 0.391 0.020 0.633
Al20 0.410 0.410 0.655
Al21 0.417 0.417 0.058
Al22 0.494 0.126 0.878
Al23 0.496 0.865 0.852
Al24 0.504 0.135 0.148
Al25 0.506 0.874 0.122
Al26 0.583 0.583 0.942
Al27 0.590 0.590 0.345
Al28 0.609 0.980 0.367
Al29 0.629 0.629 0.613
Al30 0.642 0.028 0.644
Al31 0.649 0.260 0.877
Al32 0.651 0.278 0.294
Al33 0.722 0.349 0.706
Al34 0.725 0.725 0.492
Al35 0.740 0.351 0.123
Al36 0.749 0.113 0.510
Al37 0.793 0.793 0.010
Al38 0.865 0.496 0.852
Al39 0.874 0.506 0.122
Al40 0.875 0.875 0.862
Al41 0.884 0.884 0.272
Al42 0.887 0.251 0.490
Al43 0.972 0.358 0.356
Al44 0.979 0.979 0.743
Al45 0.980 0.609 0.367
V1 0.084 0.744 0.081
V2 0.249 0.249 0.261
V3 0.256 0.916 0.919
V4 0.500 0.500 0.500
V5 0.744 0.084 0.081
V6 0.751 0.751 0.739
V7 0.916 0.256 0.919

Most intense lines, 2θ = 15–90°, by intensity:
Position (°2θ), intensity
43.74, 100
43.40, 84
40.83, 61
74.95, 56
40.49, 52
41.74, 43
40.27, 40
43.22, 34
43.06, 33
41.12, 32
41.54, 30
43.54, 29

~~~~~

The following is a computed PXRD pattern of NaLiMg14O15. It was derived from a GGA-PBE-relaxed structure, using Cu Kα.
Intensities are scaled so that the largest is 100.

Peak list (10 most intense, 2θ = 10–90°, low angle first)
hkl, 2θ (°), I/Imax
0 1 1, 14.59, 3
0 1 2, 23.25, 4
0 0 3, 31.38, 4
1 2 2, 36.30, 16
0 4 0, 41.87, 51
2 0 0, 42.32, 100
2 4 0, 61.04, 55
2 0 4, 61.39, 27
3 2 2, 73.46, 7
2 4 4, 77.08, 24

Crystal structure
Cell lengths 4.2700, 8.6310, 8.5465 Å; angles 90.00, 90.00, 90.00 degrees
Space group Pmm2 (No. 25)
Symmetry-distinct sites (fractional):
Na 0.0000 0.0000 0.0000
Li 0.0000 0.5000 0.9996
Mg 0.0000 0.0000 0.4764
Mg 0.0000 0.2537 0.2328
Mg 0.0000 0.2771 0.7538
Mg 0.0000 0.5000 0.4918
Mg 0.5000 0.0000 0.2306
Mg 0.5000 0.0000 0.7507
Mg 0.5000 0.2499 0.4955
Mg 0.5000 0.2562 0.9936
Mg 0.5000 0.5000 0.2355
Mg 0.5000 0.5000 0.7520
O 0.0000 0.0000 0.2526
O 0.0000 0.2388 0.5083
O 0.0000 0.2567 0.9880
O 0.0000 0.5000 0.2559
O 0.0000 0.5000 0.7309
O 0.5000 0.0000 0.5125
O 0.5000 0.0000 0.9810
O 0.5000 0.2414 0.7442
O 0.5000 0.2468 0.2462
O 0.5000 0.5000 0.4977
O 0.5000 0.5000 0.9918

~~~~~

ZrTl3Cl8: theoretical X-ray diffraction stick pattern (Cu Kα X-rays), based on a GGA-PBE-relaxed structure.

Top 10 peaks for 2θ from 10° to 90°, low angle first:
- hkl 1 1 2, 2θ = 21.41°, rel. 100
[So much for the crystal structures]
Local, Subnational
This group of women sex workers functions as a labour union for sex workers in the province of Cordoba in Argentina. AMMAR Córdoba advocates for the labour rights of all sex workers by networking and lobbying with local authorities and other government departments. The group combines political activism with providing tailored services to different groups of sex workers ranging from social support and sex worker friendly health services to economic empowerment or artistic expression workshops. The group engages with academia and recently published a book on sex work in Argentina.
And Soppeku (meaning «together for a change in behaviour») is a ten-year-old sex worker organisation that aims to improve sex workers’ knowledge of their rights and achieve legal reform in Senegal to ensure that sex work is respected as work. And Soppeku provides leadership training for sex workers and engages in advocacy with parliamentarians and other politicians. The group is comprised of women sex workers who live and work in the suburbs of Dakar and in the regions of Thies, Kaolack and Sédhiou.